This entry pairs a crystal structure of FeBiBO4 with its calculated powder diffraction line list. Radiation: a wavelength of 1.5418 Å. Structure: DFT lattice parameters and positions (GGA+U).

Structural model:
```
FeBiBO4
1.0
2.6554 -4.2614 0.0000
2.6554 4.2614 0.0000
0.0000 0.0000 6.8571
Fe Bi B O
2 2 2 8
direct
0.0000 0.0000 0.0000
0.0000 0.0000 0.5000
0.3224 0.6776 0.7500
0.6776 0.3224 0.2500
0.3335 0.6665 0.2500
0.6665 0.3335 0.7500
0.2094 0.3301 0.2500
0.2299 0.7701 0.0787
0.2299 0.7701 0.4213
0.3301 0.2094 0.7500
0.6699 0.7906 0.2500
0.7701 0.2299 0.5787
0.7701 0.2299 0.9213
0.7906 0.6699 0.7500
```

Top 8 peaks for 10° ≤ 2θ ≤ 90°, low angle first:
- d 3.767, intensity 100
- d 3.619, intensity 33
- d 3.429, intensity 23
- d 2.729, intensity 46
- d 2.655, intensity 31
- d 2.505, intensity 46
- d 2.141, intensity 30
- d 2.037, intensity 55


The following is a calculated powder diffractogram of Y3HgIr. It was derived from a cell relaxed with PBE, using Cu Ka.
Neutral-atom scattering factors, no anomalous dispersion.

Peak list (6 most intense, 2θ = 5–70°, by angle)
Position (°2θ)	I/Imax	hkl
21.25	1000	-1 1 1
35.10	416	0 2 0
35.25	844	1 1 1
35.36	374	0 2 -2
35.76	407	1 1 -3
37.67	668	1 -1 3

Structure:
```
Y3HgIr
1.0
5.8058 0.0000 0.0000
-2.2892 5.3586 0.0000
-1.6989 -2.5817 8.2283
Y Hg Ir
6 2 2
direct
0.0705 0.1992 0.2807 Y
0.3000 0.4296 0.7197 Y
0.2996 0.7995 0.1020 Y
0.7004 0.2005 0.8980 Y
0.7000 0.5704 0.2803 Y
0.9295 0.8008 0.7193 Y
0.2812 0.7783 0.4910 Hg
0.7188 0.2217 0.5090 Hg
0.2500 0.2495 0.0000 Ir
0.7500 0.7505 0.0000 Ir
```


Starting from a PBE-relaxed structure, the PXRD pattern of CaH12S2O9 was computed for λ = 1.5418 Å (Cu Kα).

Cell and atoms:
a = 5.8155 Å, b = 7.4852 Å, c = 11.3561 Å
α = 72.09°, β = 81.99°, γ = 86.88°
Space group P-1 (No. 2)
Inequivalent atoms, fractional coordinates:
Ca1 0.0853 0.3922 0.2652
H1 0.0175 0.2267 0.8983
H2 0.0307 0.0328 0.6154
H3 0.0857 0.3316 0.5453
H4 0.1418 0.9647 0.7403
H5 0.1647 0.7174 0.4729
H6 0.1837 0.6558 0.9337
H7 0.2550 0.7737 0.1048
H8 0.2958 0.3781 0.0035
H9 0.3550 0.1848 0.1034
H10 0.3593 0.6520 0.8155
H11 0.4382 0.0648 0.3552
H12 0.4636 0.2251 0.4140
S1 0.3853 0.1060 0.8526
S2 0.4504 0.3001 0.6820
O1 0.0025 0.2674 0.5000
O2 0.0404 0.9247 0.6912
O3 0.1292 0.7038 0.0888
O4 0.2193 0.5909 0.8692
O5 0.2326 0.4118 0.6542
O6 0.3047 0.3154 0.0928
O7 0.3584 0.5782 0.3171
O8 0.4306 0.2024 0.3372
O9 0.4798 0.7996 0.4129

Peak list (10 most intense, 2θ = 10–90°, by intensity)
2θ/deg	I (rel.)
20.91	100
16.55	80
12.43	74
31.21	58
31.10	55
21.74	52
19.71	48
34.20	47
30.65	43
33.41	43

***

Starting from a PBE-relaxed structure, the PXRD pattern of CsNdS2 was computed for λ = 1.5418 Å (Cu Kα).

Cell and atoms:
a = 4.2551 Å, b = 4.2551 Å, c = 24.2855 Å
α = 90.00°, β = 90.00°, γ = 120.00°
Space group R-3m (No. 166, hexagonal axes)
Inequivalent atoms, fractional coordinates:
Cs1 0.0000 0.0000 0.0000
Nd1 0.0000 0.0000 0.5000
S1 0.0000 0.0000 0.2288

Peak list (10 most intense, 2θ = 10–90°, by intensity)
2θ/deg	I (rel.)
28.33	100
25.26	52
38.42	37
42.49	34
21.96	29
44.71	24
48.33	22
63.41	20
51.86	18
69.21	15

***

Starting from a PBE-relaxed structure, the PXRD pattern of AsSeI was computed for λ = 1.5418 Å (Cu Kα).

Cell and atoms:
a = 9.5811 Å, b = 4.0148 Å, c = 13.7987 Å
α = 90.00°, β = 131.39°, γ = 90.00°
Space group P2_1/c (No. 14)
Inequivalent atoms, fractional coordinates:
As1 0.0098 0.1170 0.3654
Se1 0.1967 0.0722 0.3026
I1 0.2789 0.5493 0.5731

Peak list (10 most intense, 2θ = 10–90°, by intensity)
2θ/deg	I (rel.)
29.42	100
29.66	90
12.31	77
29.91	58
18.54	52
44.62	37
28.13	36
34.27	35
44.36	31
38.66	31

***

Give back the whole of the lines further up without altering anything, please.

This entry pairs a crystal structure of FeBiBO4 with its calculated powder diffraction line list. Radiation: a wavelength of 1.5418 Å. Structure: DFT lattice parameters and positions (GGA+U).

Structural model:
```
FeBiBO4
1.0
2.6554 -4.2614 0.0000
2.6554 4.2614 0.0000
0.0000 0.0000 6.8571
Fe Bi B O
2 2 2 8
direct
0.0000 0.0000 0.0000
0.0000 0.0000 0.5000
0.3224 0.6776 0.7500
0.6776 0.3224 0.2500
0.3335 0.6665 0.2500
0.6665 0.3335 0.7500
0.2094 0.3301 0.2500
0.2299 0.7701 0.0787
0.2299 0.7701 0.4213
0.3301 0.2094 0.7500
0.6699 0.7906 0.2500
0.7701 0.2299 0.5787
0.7701 0.2299 0.9213
0.7906 0.6699 0.7500
```

Top 8 peaks for 10° ≤ 2θ ≤ 90°, low angle first:
- d 3.767, intensity 100
- d 3.619, intensity 33
- d 3.429, intensity 23
- d 2.729, intensity 46
- d 2.655, intensity 31
- d 2.505, intensity 46
- d 2.141, intensity 30
- d 2.037, intensity 55


The following is a calculated powder diffractogram of Y3HgIr. It was derived from a cell relaxed with PBE, using Cu Ka.
Neutral-atom scattering factors, no anomalous dispersion.

Peak list (6 most intense, 2θ = 5–70°, by angle)
Position (°2θ)	I/Imax	hkl
21.25	1000	-1 1 1
35.10	416	0 2 0
35.25	844	1 1 1
35.36	374	0 2 -2
35.76	407	1 1 -3
37.67	668	1 -1 3

Structure:
```
Y3HgIr
1.0
5.8058 0.0000 0.0000
-2.2892 5.3586 0.0000
-1.6989 -2.5817 8.2283
Y Hg Ir
6 2 2
direct
0.0705 0.1992 0.2807 Y
0.3000 0.4296 0.7197 Y
0.2996 0.7995 0.1020 Y
0.7004 0.2005 0.8980 Y
0.7000 0.5704 0.2803 Y
0.9295 0.8008 0.7193 Y
0.2812 0.7783 0.4910 Hg
0.7188 0.2217 0.5090 Hg
0.2500 0.2495 0.0000 Ir
0.7500 0.7505 0.0000 Ir
```


Starting from a PBE-relaxed structure, the PXRD pattern of CaH12S2O9 was computed for λ = 1.5418 Å (Cu Kα).

Cell and atoms:
a = 5.8155 Å, b = 7.4852 Å, c = 11.3561 Å
α = 72.09°, β = 81.99°, γ = 86.88°
Space group P-1 (No. 2)
Inequivalent atoms, fractional coordinates:
Ca1 0.0853 0.3922 0.2652
H1 0.0175 0.2267 0.8983
H2 0.0307 0.0328 0.6154
H3 0.0857 0.3316 0.5453
H4 0.1418 0.9647 0.7403
H5 0.1647 0.7174 0.4729
H6 0.1837 0.6558 0.9337
H7 0.2550 0.7737 0.1048
H8 0.2958 0.3781 0.0035
H9 0.3550 0.1848 0.1034
H10 0.3593 0.6520 0.8155
H11 0.4382 0.0648 0.3552
H12 0.4636 0.2251 0.4140
S1 0.3853 0.1060 0.8526
S2 0.4504 0.3001 0.6820
O1 0.0025 0.2674 0.5000
O2 0.0404 0.9247 0.6912
O3 0.1292 0.7038 0.0888
O4 0.2193 0.5909 0.8692
O5 0.2326 0.4118 0.6542
O6 0.3047 0.3154 0.0928
O7 0.3584 0.5782 0.3171
O8 0.4306 0.2024 0.3372
O9 0.4798 0.7996 0.4129

Peak list (10 most intense, 2θ = 10–90°, by intensity)
2θ/deg	I (rel.)
20.91	100
16.55	80
12.43	74
31.21	58
31.10	55
21.74	52
19.71	48
34.20	47
30.65	43
33.41	43

***

Starting from a PBE-relaxed structure, the PXRD pattern of CsNdS2 was computed for λ = 1.5418 Å (Cu Kα).

Cell and atoms:
a = 4.2551 Å, b = 4.2551 Å, c = 24.2855 Å
α = 90.00°, β = 90.00°, γ = 120.00°
Space group R-3m (No. 166, hexagonal axes)
Inequivalent atoms, fractional coordinates:
Cs1 0.0000 0.0000 0.0000
Nd1 0.0000 0.0000 0.5000
S1 0.0000 0.0000 0.2288

Peak list (10 most intense, 2θ = 10–90°, by intensity)
2θ/deg	I (rel.)
28.33	100
25.26	52
38.42	37
42.49	34
21.96	29
44.71	24
48.33	22
63.41	20
51.86	18
69.21	15

***

Starting from a PBE-relaxed structure, the PXRD pattern of AsSeI was computed for λ = 1.5418 Å (Cu Kα).

Cell and atoms:
a = 9.5811 Å, b = 4.0148 Å, c = 13.7987 Å
α = 90.00°, β = 131.39°, γ = 90.00°
Space group P2_1/c (No. 14)
Inequivalent atoms, fractional coordinates:
As1 0.0098 0.1170 0.3654
Se1 0.1967 0.0722 0.3026
I1 0.2789 0.5493 0.5731

Peak list (10 most intense, 2θ = 10–90°, by intensity)
2θ/deg	I (rel.)
29.42	100
29.66	90
12.31	77
29.91	58
18.54	52
44.62	37
28.13	36
34.27	35
44.36	31
38.66	31

***